Assignment =
The reader should quote every line further down that contains the word "Hg".

Contents =
Simulated powder X-ray diffraction pattern of TlHgWF6 for Cu Kα (λ = 1.5418 Å), from the PBE+U geometry in Alexandria.
No peak broadening, texture or thermal motion is included.

```
TlHgWF6
1.0
7.6484 0.0000 0.0000
-3.8242 6.6237 0.0000
0.0000 0.0000 8.0193
Tl Hg W F
2 2 2 12
Direct
0.3333 0.6667 0.2500 Tl
0.6667 0.3333 0.7500 Tl
0.0000 0.0000 0.0000 Hg
0.0000 0.0000 0.5000 Hg
0.3333 0.6667 0.7500 W
0.6667 0.3333 0.2500 W
0.1181 0.4604 0.6152 F
0.1181 0.6577 0.8848 F
0.3423 0.4604 0.8848 F
0.3423 0.8819 0.6152 F
0.4604 0.1181 0.1152 F
0.4604 0.3423 0.3848 F
0.5396 0.6577 0.6152 F
0.5396 0.8819 0.8848 F
0.6577 0.1181 0.3848 F
0.6577 0.5396 0.1152 F
0.8819 0.3423 0.1152 F
0.8819 0.5396 0.3848 F
```

Most intense lines, 2θ = 10–80°, most intense first:
d (Å)	I/Imax	index
3.824	100	1 1 0
3.430	72	1 0 2
2.124	41	2 1 2
2.553	34	2 0 2
1.776	27	2 -1 4
2.208	24	3 0 0
1.670	19	3 1 2
1.445	16	4 1 0
1.484	15	3 0 4
1.912	14	2 2 0

Solution =
Tl Hg W F
0.0000 0.0000 0.0000 Hg
0.0000 0.0000 0.5000 Hg